College administration
The college administration is directly linked to the college's dean and is charged with the following tasks:
- Reporting directly to all employees of the college as well as reporting on their leaving the work in accordance with the instructions and powers issued in this regard.
- Granting the regular and compulsory leave for the employees of the administration, employees and workers belonging to the Department and the related units, provided that the Deanship of Faculty Affairs and University Personnel shall complete the procedures in accordance with the system before enjoying them.
- Supervising the attendance and departure of the staff of the administration and associated units as well as the employees of the departments of technicians, administrators, employees and workers in coordination with the heads of departments and provide a monthly report on the regularity of their time.
- Signing the identification certificates for all employees of the college, provided that they do not have certificates of experience or letters of thanks.
- To continue to provide the college with the need of office tools. To raise the fees owed by the contractors of the faculty members of the compensation for tickets according to the regulations.
- Follow up all laboratory safety work in the college in coordination with the departments and units of the college.
- Approving forms of sponsorship for faculty members when traveling.
- Preparing the administration's needs for employees, employees and workers.
- Direct contact with the departments and departments within the university as well as ministries and government departments and others in all matters related to the terms of the communication should be equivalent to those who color or color.
The College Administration Manager is responsible for:
- Administrative Communications.
- Passport and Travel Affairs.
- College Mail.
It is also related to all faculty members except faculty members and others, as follows:
Administrative Communications and carries out the following tasks:
- Record incoming transactions according to a managed system. Record incoming transactions according to a managed system.
- E-mail: and follow up the incoming mail to the college and abroad of the faculty members of faculty members and those in their governance and management of the college.
- Passports: It follows up the passport procedures for faculty members and non-Saudi officials with the Personnel Department to finalize the procedures related thereto.
- The workshop: All employees are connected to the workshop where they carry out the maintenance work in all the units of the college and their work is divided into: (carpentry - blacksmithing - painting - electronic works - glassware - electricity).

الاسم: أ. عبدالعزيز معبر
الهاتف: 0172419646
التحويلة: 9646 (السكرتير: 9646)
البريد الالكتروني:
كلمة مدير الإدارة:
عزيزي ....
يسرنا أن نرحب بكم في موقع الكلية على أمل أن تجدوا ما يسركم من خلال سعينا الدائم لتقديم كل ما بوسعنا؛ لإطلاعكم على كل جديد ومشاركتكم خدمتنا.
تعمل إدارة كلية الأعمال .....
عبدالعزيز معبر |
=====
# 1
Hg2IrSe | GGA-PBE | relaxed

* volume: 87 Å³ per cell
* M_tot: 0.0 μB/f.u.
* energy relative to the elements, uncorrected: 0.3228 eV/atom

a = 7.3001 Å, b = 7.3001 Å, c = 4.2570 Å
α = 72.79°, β = 72.79°, γ = 23.81°
Positions (direct):
1 Hg 0.0655 0.0655 0.9346
2 Hg 0.4345 0.4345 0.5654
3 Ir 0.7500 0.7500 0.7500
4 Se 0.2500 0.2500 0.2500


# 2
ZnRu3 | GGA-PBE | relaxed

* volume: 112 Å³ per cell
* M_tot: 0.0 μB/f.u.

a = 4.3722 Å, b = 4.7802 Å, c = 5.3435 Å
α = 90.00°, β = 90.00°, γ = 90.00°
Positions (direct):
1 Zn 0.0000 0.3515 0.0000
2 Zn 0.5000 0.6485 0.5000
3 Ru 0.5000 0.6516 0.0000
4 Ru 0.0000 0.8542 0.2601
5 Ru 0.5000 0.1458 0.2399
6 Ru 0.0000 0.3484 0.5000
7 Ru 0.0000 0.8542 0.7399
8 Ru 0.5000 0.1458 0.7601


# 3
Li3Pu3GeS8 | GGA-PBE | relaxed

* volume: 322 Å³ per cell
* M_tot: 13.2 μB/f.u.
* energy relative to the elements, uncorrected: -1.2747 eV/atom

a = 7.8693 Å, b = 7.8696 Å, c = 7.5361 Å
α = 121.49°, β = 90.00°, γ = 120.00°
Each line ends with the local moment (μB).
Positions (direct):
1 Li 0.0000 0.0000 0.0000  0.00
2 Li 0.0000 0.5000 0.0000  0.00
3 Li 0.5000 0.5000 0.0000  0.00
4 Pu 0.5000 0.0000 0.5000  4.77
5 Pu 0.5000 0.5000 0.5000  4.77
6 Pu 0.0000 0.5000 0.5000  4.77
7 Ge 0.0000 0.0000 0.5000  -0.05
8 S 0.2492 0.4984 0.2478  -0.12
9 S 0.7508 0.5016 0.7522  -0.12
10 S 0.7587 0.5174 0.2640  -0.13
11 S 0.2413 0.4826 0.7360  -0.13
12 S 0.7587 0.0051 0.2640  -0.13
13 S 0.2413 0.9949 0.7360  -0.13
14 S 0.2464 0.0051 0.2640  -0.13
15 S 0.7536 0.9949 0.7360  -0.13


# 4
CaCo2Br | GGA-PBE | relaxed

* volume: 90 Å³ per cell
* ΔE to the lowest computed polymorph: 69 meV per atom
* M_tot: 2.9 μB/f.u.
* energy relative to the elements, uncorrected: -0.1035 eV/atom

a = 7.4466 Å, b = 7.4466 Å, c = 7.4466 Å
α = 29.81°, β = 29.81°, γ = 29.81°
Each line ends with the local moment (μB).
Positions (direct):
1 Ca 0.7376 0.7376 0.7376  -0.06
2 Co 0.9763 0.9763 0.9763  1.50
3 Co 0.2943 0.2943 0.2943  1.65
4 Br 0.4919 0.4919 0.4919  0.00


Number 1: uncorrected energy -2.9145 eV per atom. Number 2: uncorrected energy -7.1633 eV per atom. Number 3: uncorrected energy -7.0329 eV per atom. Number 4: uncorrected energy -4.5750 eV per atom.

~~~~~

Th3IrAu | PBE | relaxed

Results
The formation energy is -0.545 eV/atom. As for the total energy: -74.24 eV per cell.

abc: 6.6497 6.6497 9.2422
angles: 113.25 113.25 48.06
Element x y z (fractional)
Th: 0.1205 0.1205 0.4202
Th: 0.3586 0.3586 0.8430
Th: 0.3599 0.3599 0.2005
Th: 0.6401 0.6401 0.7995
Th: 0.6414 0.6414 0.1570
Th: 0.8795 0.8795 0.5798
Ir: 0.3914 0.3914 0.5392
Ir: 0.6086 0.6086 0.4608
Au: 0.0921 0.0921 0.9390
Au: 0.9079 0.9079 0.0610

~~~~~

The following is a DFT calculation (PBE) of an optimized crystal structure of Zn2IrRu.

Properties
Magnetization in Bohr magnetons per cell: 0.00
Total DFT energy (no corrections) in hartree per atom: -0.1924
Formation enthalpy at 0 K in eV per atom: -0.064
Excess energy over the best structure of this formula in the dataset in meV per atom: 0
=====
Back to the page =
مدير الإدارة |
9646 |
سعيد سفر سالم الشهراني |
الاتصالات الإدارية |
8712 |
محمد عبد الله علي القحطاني |
سكرتير العميد |
7538 |
فارس سلمان الشهراني |
سكرتير وكيل الكلية |
7722 |
عبد الرحمن أحمد علي آل مغرم |
شؤون الطلاب |
9644 |
محمد مرعي إلى عوض |
الاتصالات الإدارية |
8582 |
أحمد يحي أحمد بدوي |
العلاقات العامة وشؤون الموظفين |
9305 |
إسماعيل محمد حمدان |
شؤون أعضاء هيئة التدريس |
9547 |
سكرتير وكيل الكلية للشئون الأكاديمية |
8582 |
سعيد علي ناصر الحمادي |
سكرتير وكيل الكلية للتطوير والجودة |
9442 |
محمد احمد لاحق |
شؤون أعضاء هيئة التدريس |
9644 |
محمد يحيى الحضري |
7538 |